NAAQS Implementation Process
When EPA establishes a new national ambient air quality standard (NAAQS) or revises an existing standard for each criteria air pollutant, it sets in motion a series of actions aimed at ensuring that air quality throughout the country meets those standards.
EPA must designate areas as meeting (attainment) or not meeting (nonattainment) the standard. The Clean Air Act requires states to develop a general plan to attain and maintain the standards in all areas of the country and a specific plan to attain the standards for each area designated nonattainment. These plans, known as State Implementation Plans or SIPs, are developed by state and local air quality management agencies and submitted to EPA for approval.
- - -
# 1
The following is a DFT calculation (PBE+U) of a relaxed structure of LiVP2O7.

Computed properties:
**Symmetry**: P2_1/c

```
LiVP2O7
1.0
8.4626 0.0000 0.0000
0.0000 5.0647 0.0000
-6.0064 0.0000 12.0819
Li V P O
4 4 8 28
direct
0.0909 0.2314 0.2026
0.0909 0.2686 0.7026
0.9091 0.7314 0.2974
0.9091 0.7686 0.7974
0.2322 0.2363 0.9692
0.2322 0.2637 0.4692
0.7678 0.7363 0.5308
0.7678 0.7637 0.0308
0.1962 0.7321 0.1164
0.1962 0.7679 0.6164
0.3274 0.7446 0.3542
0.3274 0.7554 0.8542
0.6726 0.2446 0.1458
0.6726 0.2554 0.6458
0.8038 0.2321 0.3836
0.8038 0.2679 0.8836
0.0272 0.6554 0.6180
0.0272 0.8446 0.1180
0.1837 0.0667 0.5943
0.1837 0.4333 0.0943
0.1942 0.5506 0.8583
0.1942 0.9494 0.3583
0.2510 0.0363 0.8411
0.2510 0.4637 0.3411
0.2551 0.6142 0.5430
0.2551 0.8858 0.0430
0.3456 0.7071 0.7408
0.3456 0.7929 0.2408
0.4879 0.2170 0.5558
0.4879 0.2830 0.0558
0.5121 0.7170 0.9442
0.5121 0.7830 0.4442
0.6544 0.2071 0.7592
0.6544 0.2929 0.2592
0.7449 0.1142 0.9570
0.7449 0.3858 0.4570
0.7490 0.5363 0.6589
0.7490 0.9637 0.1589
0.8058 0.0506 0.6417
0.8058 0.4494 0.1417
0.8163 0.5667 0.9057
0.8163 0.9333 0.4057
0.9728 0.1554 0.8820
0.9728 0.3446 0.3820
```

***

# 2
The following is a DFT calculation (PBE+U) of a relaxed structure of Li9V3P8O29.

Computed properties:
**Symmetry**: P1
**ΔE to the lowest computed polymorph**: 0.0171 eV per atom

```
Li9V3P8O29
1.0
9.9148 0.0000 0.0000
-4.9447 8.5955 0.0000
-0.0057 -0.0579 13.7539
Li V P O
18 6 16 58
direct
0.0000 0.0000 0.0000
0.0018 0.4304 0.0574
0.0938 0.7632 0.1931
0.1035 0.3247 0.6873
0.2321 0.3313 0.1848
0.2393 0.9079 0.6827
0.3373 0.6633 0.1269
0.3803 0.6821 0.6177
0.4318 0.9969 0.0574
0.4376 0.4389 0.5529
0.5672 0.5676 0.0595
0.5700 0.9948 0.5526
0.6587 0.3257 0.7450
0.6665 0.8938 0.1859
0.6697 0.7653 0.6817
0.6777 0.3487 0.2404
0.8934 0.6766 0.3535
0.9903 0.9817 0.4963
0.3317 0.2303 0.3680
0.3333 0.1003 0.8704
0.7658 0.6651 0.8712
0.7679 0.0965 0.3658
0.8982 0.2287 0.8699
0.9889 0.5602 0.5502
0.0000 0.9969 0.7425
0.0050 0.0031 0.2418
0.0102 0.5715 0.7758
0.0153 0.4391 0.2722
0.1060 0.3456 0.4594
0.1076 0.7554 0.9633
0.2440 0.3496 0.9639
0.2497 0.8942 0.4657
0.4216 0.9799 0.2746
0.4231 0.4398 0.7743
0.5594 0.9798 0.7754
0.5595 0.5723 0.2746
0.6489 0.8917 0.9651
0.6535 0.7567 0.4642
0.6631 0.3238 0.5004
0.6671 0.3319 0.9955
0.0024 0.9994 0.6329
0.0040 0.0159 0.1321
0.0048 0.5847 0.2728
0.0066 0.4158 0.7720
0.0079 0.1493 0.7826
0.0183 0.8658 0.2778
0.0841 0.3383 0.9631
0.0868 0.6635 0.6804
0.0897 0.7432 0.4691
0.0974 0.4386 0.5505
0.1039 0.4278 0.1847
0.1040 0.6579 0.0489
0.1196 0.4502 0.3689
0.1214 0.6714 0.8630
0.1443 0.9892 0.7821
0.1448 0.1600 0.2840
0.2239 0.1856 0.9526
0.2250 0.0342 0.4554
0.2564 0.3401 0.4676
0.2559 0.9146 0.9642
0.3269 0.8886 0.1862
0.3309 0.4392 0.6850
0.3330 0.4508 0.8687
0.3341 0.8783 0.3704
0.3374 0.4393 0.0526
0.3439 0.8987 0.5550
0.4045 0.4163 0.2776
0.4115 0.9927 0.7750
0.4408 0.1435 0.2864
0.4417 0.2951 0.7833
0.5216 0.3365 0.4642
0.5226 0.1799 0.9553
0.5474 0.8789 0.8696
- - -
_Back to the entry_
The SIPs serve two main purposes:
-- Calculated crystals that have nothing to do with the piece --
____________
(1)
# GaAg9Se6, relaxed, DFT PBE-GGA
data_GaAg9Se6
_chemical_formula_sum 'Ga4 Ag36 Se24'
_space_group_name_H-M_alt 'P 21 3'
_space_group_IT_number 198
_space_group_name_Hall 'P 2ac 2ab 3'
_cell_length_a 11.322
_cell_length_b 11.322
_cell_length_c 11.322
_cell_angle_alpha 90.00
_cell_angle_beta 90.00
_cell_angle_gamma 90.00
loop_
_atom_site_label
_atom_site_type_symbol
_atom_site_fract_x
_atom_site_fract_y
_atom_site_fract_z
Ga1 Ga 0.008 0.008 0.008
Ag1 Ag 0.030 0.773 0.268
Ag2 Ag 0.038 0.137 0.670
Ag3 Ag 0.070 0.866 0.675
Se1 Se 0.022 0.978 0.478
Se2 Se 0.101 0.627 0.634
Se3 Se 0.131 0.131 0.131
Se4 Se 0.238 0.262 0.738
# Calculated total energy, eV for the cell shown: -209.1
# ΔH_f (0 K), eV per atom: -0.35

=====

(2)
# BaCaInSbO6, relaxed, DFT PBE-GGA
data_BaCaInSbO6
_chemical_formula_sum 'Ba4 Ca4 In4 Sb4 O24'
_space_group_name_H-M_alt 'F -4 3 m'
_space_group_IT_number 216
_space_group_name_Hall 'F -4 2 3'
_cell_length_a 8.278
_cell_length_b 8.278
_cell_length_c 8.278
_cell_angle_alpha 90.00
_cell_angle_beta 90.00
_cell_angle_gamma 90.00
loop_
_atom_site_label
_atom_site_type_symbol
_atom_site_fract_x
_atom_site_fract_y
_atom_site_fract_z
Ba1 Ba 0.000 0.000 0.000
Ca1 Ca 0.000 0.000 0.500
In1 In 0.250 0.250 0.750
Sb1 Sb 0.250 0.250 0.250
O1 O 0.009 0.250 0.250
# Calculated total energy, eV for the cell shown: -244.1
# ΔH_f (0 K), eV per atom: -2.47
# M_tot, μB per cell: 0.000
____________
-- Here the piece continues --
- Demonstrate that the state has the basic air quality management program components in place to implement a new or revised NAAQS.
- Identify the emissions control requirements the state will rely upon to attain and/or maintain the primary and secondary NAAQS.
SIP Development Process
Within two years after setting a new NAAQS or revising an existing standard: With input from the states and tribes, EPA must identify or "designate" areas as meeting (attainment areas) or not meeting (nonattainment areas), the standards. Designations are based on the most recent set of air monitoring or modeling data characterizing an area.
Within three years after setting a new NAAQS or revising an existing standard: All states must submit state implementation plans to show they have the basic air quality management program components in place to implement a new or revised NAAQS, as specified in Clean Air Act section 110. These plans are often called "infrastructure SIPs." Learn more about Infrastructure SIP requirements. See Guidance on Development and Submission of Infrastructure State Implementation Plans for National Ambient Air Quality Standards (PDF) (62pp, 533k)
Within 18-36 months after designations: Due dates for nonattainment area SIPs are based on the area designation date and vary by pollutant and area classification. SIPs for areas designated as nonattainment for sulfur dioxide (SO2), nitrogen dioxide (NO2), coarse particle pollution (PM10), and lead (Pb) are generally due no later than 18 months from the date of designation. SIPs for Ozone (O3), fine particle pollution (PM2.5), and carbon monoxide (CO) nonattainment areas are generally due within 36 months from the date of designation. Each nonattainment area SIP must outline the strategies and emissions control measures that show how the area will improve air quality and meet the NAAQS. In addition, the Clean Air Act mandates that areas adopt certain specified control requirements. Learn more about SIP requirements for nonattainment areas.
-- What comes next are records of crystals, not part of the page --
-- begin --
1.
! AlFe2BO5 GGA+U optimized geometry; values from VASP
! - DFT formation energy (eV/atom) = -2.436
! - total moment (μB/cell) = 32.00
&SYSTEM
  ibrav = 0, nat = 36, ntyp = 4
/
ATOMIC_SPECIES
Al 26.98 Al.upf
Fe 55.84 Fe.upf
B 10.81 B.upf
O 16.00 O.upf
CELL_PARAMETERS angstrom
9.669 0.000 0.000
0.000 12.278 0.000
0.000 0.000 2.965
ATOMIC_POSITIONS crystal
Al 0.242 0.116 0.000
Al 0.258 0.616 0.000
Al 0.742 0.384 0.000
Al 0.758 0.884 0.000
Fe 0.000 0.000 0.500
Fe 0.000 0.500 0.000
Fe 0.004 0.726 0.500
Fe 0.496 0.226 0.500
Fe 0.500 0.000 0.000
Fe 0.500 0.500 0.500
Fe 0.504 0.774 0.500
Fe 0.996 0.274 0.500
B 0.237 0.863 0.000
B 0.263 0.363 0.000
B 0.737 0.637 0.000
B 0.763 0.137 0.000
O 0.119 0.142 0.500
O 0.120 0.363 0.000
O 0.131 0.585 0.500
O 0.164 0.961 0.000
O 0.169 0.764 0.000
O 0.331 0.264 0.000
O 0.336 0.461 0.000
O 0.369 0.085 0.500
O 0.380 0.863 0.000
O 0.381 0.642 0.500
O 0.619 0.358 0.500
O 0.620 0.137 0.000
O 0.631 0.915 0.500
O 0.664 0.539 0.000
O 0.669 0.736 0.000
O 0.831 0.236 0.000
O 0.836 0.039 0.000
O 0.869 0.415 0.500
O 0.880 0.637 0.000
O 0.881 0.858 0.500

=====

2.
! Al3FeSiBO9 GGA+U optimized geometry; values from VASP
! - DFT formation energy (eV/atom) = -2.956
! - total moment (μB/cell) = 0.00
&SYSTEM
  ibrav = 0, nat = 60, ntyp = 5
/
ATOMIC_SPECIES
Al 26.98 Al.upf
Fe 55.84 Fe.upf
Si 28.09 Si.upf
B 10.81 B.upf
O 16.00 O.upf
CELL_PARAMETERS angstrom
11.238 0.000 0.000
0.000 5.834 0.000
0.000 0.000 10.461
ATOMIC_POSITIONS crystal
Al 0.000 0.000 0.000
Al 0.000 0.000 0.500
Al 0.000 0.500 0.000
Al 0.000 0.500 0.500
Al 0.052 0.250 0.227
Al 0.448 0.750 0.727
Al 0.500 0.000 0.000
Al 0.500 0.000 0.500
Al 0.500 0.500 0.000
Al 0.500 0.500 0.500
Al 0.552 0.250 0.273
Al 0.948 0.750 0.773
Fe 0.219 0.750 0.594
Fe 0.281 0.250 0.094
Fe 0.719 0.750 0.906
Fe 0.781 0.250 0.406
Si 0.236 0.250 0.435
Si 0.264 0.750 0.935
Si 0.736 0.250 0.065
Si 0.764 0.750 0.565
B 0.000 0.250 0.751
B 0.000 0.750 0.249
B 0.500 0.250 0.749
B 0.500 0.750 0.251
O 0.001 0.046 0.819
O 0.001 0.454 0.819
O 0.004 0.750 0.378
O 0.019 0.750 0.617
O 0.096 0.250 0.047
O 0.122 0.750 0.974
O 0.170 0.025 0.494
O 0.170 0.475 0.494
O 0.208 0.250 0.278
O 0.292 0.750 0.778
O 0.330 0.525 0.994
O 0.330 0.975 0.994
O 0.378 0.250 0.474
O 0.404 0.750 0.547
O 0.481 0.250 0.117
O 0.496 0.250 0.878
O 0.499 0.546 0.319
O 0.499 0.954 0.319
O 0.501 0.046 0.681
O 0.501 0.454 0.681
O 0.504 0.750 0.122
O 0.519 0.750 0.883
O 0.596 0.250 0.453
O 0.622 0.750 0.526
O 0.670 0.025 0.006
O 0.670 0.475 0.006
O 0.708 0.250 0.222
O 0.792 0.750 0.722
O 0.830 0.525 0.506
O 0.830 0.975 0.506
O 0.878 0.250 0.026
O 0.904 0.750 0.953
O 0.981 0.250 0.383
O 0.996 0.250 0.622
O 0.999 0.546 0.181
O 0.999 0.954 0.181

=====

3.
! MnAlB2Pb2O8 GGA+U optimized geometry; values from VASP
! - DFT formation energy (eV/atom) = -2.467
! - total moment (μB/cell) = 8.00
&SYSTEM
  ibrav = 0, nat = 28, ntyp = 5
/
ATOMIC_SPECIES
Mn 54.94 Mn.upf
Al 26.98 Al.upf
B 10.81 B.upf
Pb 207.20 Pb.upf
O 16.00 O.upf
CELL_PARAMETERS angstrom
-- stop --
SIPs must be developed with public input, be formally adopted by the state, and submitted by the Governor's designee to EPA. After reviewing submitted SIPs, EPA proposes to approve or disapprove all or part of each plan. The public has an opportunity to comment on EPA's proposed action. EPA considers public input before taking final action on a state's plan. If EPA approves all or part of a SIP, those control measures are enforceable in federal court. If a state fails to submit an approvable plan or if EPA disapproves a plan, EPA is required to develop a federal implementation plan (FIP).